• Assignment:
Could you transcribe the listing underneath from the first line to the one with "0.529" without additions?
• File:
[1]
PaNiGe2 | Alexandria | GGA-PBE | optimized geometry; symmetry = R-3m (166); ΔH_f (0 K) = 0.70 eV/atom
1.0
4.859 0.000 0.000
2.430 4.208 0.000
2.430 1.403 5.594
Ni Ge Pa
1 2 1
Direct
0.000 0.000 0.000
0.132 0.132 0.603
0.868 0.868 0.397
0.500 0.500 0.500

---

[2]
Ac4Hg2H | Alexandria | GGA-PBE | optimized geometry; symmetry = I4/mmm (139)
1.0
-4.843 -0.018 -1.850
0.579 -4.939 -1.469
-0.776 -0.135 9.297
H Ac Hg
1 4 2
Direct
0.000 0.000 0.000
0.814 0.814 0.629
0.186 0.186 0.371
0.000 0.500 0.000
0.500 0.000 0.000
0.629 0.629 0.259
0.371 0.371 0.741

---

[3]
Ac8Ir3NCl4 | Alexandria | GGA-PBE | optimized geometry; symmetry = C2/m (12); uncorrected formation energy = -1.2495 eV/atom
1.0
-3.963 -5.214 -5.311
-3.371 -4.883 7.309
-1.681 8.382 -0.281
Ac Ir N Cl
8 3 1 4
Direct
0.220 0.692 0.975
0.238 0.704 0.475
0.265 0.297 0.529
0.755 0.692 0.975
0.245 0.308 0.025
0.735 0.703 0.471
0.762 0.296 0.525
0.780 0.308 0.025
0.500 0.500 0.000
0.500 0.500 0.500
0.000 0.500 0.500
0.000 0.500 0.000
0.500 0.000 0.000
0.500 0.000 0.500
0.000 0.000 0.000
0.000 0.000 0.500

---

[4]
Pm4Y4Tl | Alexandria | GGA-PBE | optimized geometry; symmetry = I4/mmm (139); ΔH_f (0 K) = -0.05 eV/atom
1.0
-4.746 -0.198 -1.288
-0.692 -5.254 -6.045
-3.504 -5.747 4.394
Pm Y Tl
4 4 1
Direct
0.665 0.335 0.336
0.335 0.665 0.664
0.000 0.664 0.335
0.000 0.336 0.665
0.661 0.679 0.000
0.339 0.321 0.000
0.661 0.000 0.679
0.339 0.000 0.321
0.000 0.000 0.000

---

[5]
NiPd2AuN | Alexandria | GGA-PBE | optimized geometry; symmetry = P4/mmm (123); uncorrected formation energy = 0.1178 eV/atom
1.0
-0.641 0.274 4.264
1.820 -3.884 0.523
3.254 1.577 0.387
Ni Au Pd N
1 1 2 1
Direct
0.000 0.000 0.500
0.500 0.500 0.500
0.000 0.500 0.000
0.500 0.000 0.000
0.000 0.000 0.000

---

[6]
POs2Cl | Alexandria | GGA-PBE | optimized geometry; relative energy among the computed polymorphs = 5.9 kJ per mole of atoms; symmetry = Pm (6); uncorrected formation energy = 0.2843 eV/atom
1.0
3.601 0.000 0.000
0.000 2.872 -0.001
0.000 1.625 7.329
Cl Os P
1 2 1
Direct
0.500 0.919 0.826
0.000 0.788 0.058
0.500 0.188 0.234
0.000 0.605 0.382

---

For each record above, in turn, the calculated calculated total energy values are -5.43; -3.19; -5.95; -5.30; -5.44; -7.14 eV per atom.

* * * * *

[1]
## Tl (PBE)

Data for a relaxed Tl crystal.

Unit cell a=5.336 b=5.336 c=6.240 alpha=90.00 beta=90.00 gamma=120.00
Fractional coordinates of all 4 atoms:
Tl  0.000  0.000  0.250
Tl  0.000  0.000  0.750
Tl  0.333  0.667  0.250
Tl  0.667  0.333  0.750

Values from the calculation:
For the density of states at the Fermi level, the calculation gives 2.1 states/eV/cell.

[2]
## NdZn2Pd5Au (PBE)

Data for a relaxed NdZn2Pd5Au crystal.

Unit cell a=4.662 b=4.662 c=7.487 alpha=90.00 beta=90.00 gamma=90.00
Fractional coordinates of all 9 atoms:
Nd  0.000  0.000  0.000
Zn  0.500  0.500  0.344
Zn  0.500  0.500  0.656
Pd  0.000  0.500  0.251
Pd  0.000  0.500  0.749
Pd  0.500  0.000  0.251
Pd  0.500  0.000  0.749
Pd  0.500  0.500  0.000
Au  0.000  0.000  0.500

Values from the calculation:
For the density of states at the Fermi level, the calculation gives 2.4 states/eV/cell.

[3]
## Li7Tb3Au4 (PBE)

Data for a relaxed Li7Tb3Au4 crystal.

Unit cell a=8.127 b=8.127 c=10.411 alpha=123.30 beta=123.30 gamma=29.73
Fractional coordinates of all 14 atoms:
Li  0.000  0.000  0.000
Li  0.167  0.167  0.934
Li  0.325  0.325  0.496
Li  0.480  0.480  0.183
Li  0.520  0.520  0.817
Li  0.675  0.675  0.504
Li  0.833  0.833  0.066
Tb  0.000  0.000  0.500
Tb  0.297  0.297  0.774
Tb  0.703  0.703  0.226
Au  0.105  0.105  0.316
Au  0.346  0.346  0.253
Au  0.654  0.654  0.747
Au  0.895  0.895  0.684

Values from the calculation:
For the density of states at the Fermi level, the calculation gives 6.6 states/eV/cell.

[4]
## TlRh2 (PBE)

Data for a relaxed TlRh2 crystal.

Unit cell a=4.633 b=4.633 c=5.485 alpha=90.00 beta=90.00 gamma=120.00
Fractional coordinates of all 6 atoms:
Tl  0.333  0.667  0.250
Tl  0.667  0.333  0.750
Rh  0.000  0.000  0.000
• Worked solution:
[1]
PaNiGe2 | Alexandria | GGA-PBE | optimized geometry; symmetry = R-3m (166); ΔH_f (0 K) = 0.70 eV/atom
1.0
4.859 0.000 0.000
2.430 4.208 0.000
2.430 1.403 5.594
Ni Ge Pa
1 2 1
Direct
0.000 0.000 0.000
0.132 0.132 0.603
0.868 0.868 0.397
0.500 0.500 0.500

---

[2]
Ac4Hg2H | Alexandria | GGA-PBE | optimized geometry; symmetry = I4/mmm (139)
1.0
-4.843 -0.018 -1.850
0.579 -4.939 -1.469
-0.776 -0.135 9.297
H Ac Hg
1 4 2
Direct
0.000 0.000 0.000
0.814 0.814 0.629
0.186 0.186 0.371
0.000 0.500 0.000
0.500 0.000 0.000
0.629 0.629 0.259
0.371 0.371 0.741

---

[3]
Ac8Ir3NCl4 | Alexandria | GGA-PBE | optimized geometry; symmetry = C2/m (12); uncorrected formation energy = -1.2495 eV/atom
1.0
-3.963 -5.214 -5.311
-3.371 -4.883 7.309
-1.681 8.382 -0.281
Ac Ir N Cl
8 3 1 4
Direct
0.220 0.692 0.975
0.238 0.704 0.475
0.265 0.297 0.529